Tuesday, June 18, 2013

== These calculated crystals were left in the piece by mistake ==
+++
UZnGaNi: relaxed, PBE-GGA.

Cell: 6.4679 6.4679 6.4679 Å, 90.00 90.00 90.00°
Space group F-43m (No. 216)
Inequivalent atoms, fractional coordinates:
1 U 0.0000 0.0000 0.0000 (multiplicity 4)
2 Zn 0.2500 0.2500 0.2500 (multiplicity 4)
3 Ga 0.0000 0.0000 0.5000 (multiplicity 4)
4 Ni 0.2500 0.2500 0.7500 (multiplicity 4)

Output
ΔE_f ... -48 meV/atom

----------

Entry 1:
Li5CoO4, PBEsol geometry, DFT meta-GGA SCAN; uncorrected formation energy = -1.882 eV/atom; space group = Pbca; mass density = 2.803 g cm⁻³; magnetization = 0.40 μB/atom; excess energy over the best structure of this formula in the dataset = 0.000 eV/atom
1.0
9.043 0.000 0.000
0.000 9.103 0.000
0.000 0.000 9.075
Li Co O
40 8 32
Direct
0.105 0.149 0.122
0.105 0.351 0.622
0.106 0.656 0.882
0.106 0.844 0.382
0.125 0.618 0.149
0.125 0.882 0.649
0.145 0.110 0.387
0.145 0.390 0.887
0.159 0.618 0.610
0.159 0.882 0.110
0.341 0.118 0.610
0.341 0.382 0.110
0.355 0.610 0.387
0.355 0.890 0.887
0.375 0.118 0.149
0.375 0.382 0.649
0.394 0.156 0.882
0.394 0.344 0.382
0.395 0.649 0.122
0.395 0.851 0.622
0.605 0.149 0.378
0.605 0.351 0.878
0.606 0.656 0.618
0.606 0.844 0.118
0.625 0.618 0.351
0.625 0.882 0.851
0.645 0.110 0.113
0.645 0.390 0.613
0.659 0.618 0.890
0.659 0.882 0.390
0.841 0.118 0.890
0.841 0.382 0.390
0.855 0.610 0.113
0.855 0.890 0.613
0.875 0.118 0.351
0.875 0.382 0.851
0.894 0.156 0.618
0.894 0.344 0.118
0.895 0.649 0.378
0.895 0.851 0.878
0.118 0.115 0.852
0.118 0.385 0.352
0.382 0.615 0.852
0.382 0.885 0.352
0.618 0.115 0.648
0.618 0.385 0.148
0.882 0.615 0.648
0.882 0.885 0.148
0.000 0.246 0.966
0.000 0.254 0.466
0.000 0.746 0.534
0.000 0.754 0.034
0.018 0.505 0.749
0.018 0.995 0.249
0.242 0.246 0.752
0.242 0.254 0.252
0.245 0.035 0.993
0.245 0.465 0.493
0.255 0.535 0.993
0.255 0.965 0.493
0.258 0.746 0.752
0.258 0.754 0.252
0.482 0.005 0.749
0.482 0.495 0.249
0.500 0.246 0.534
0.500 0.254 0.034
0.500 0.746 0.966
0.500 0.754 0.466
0.518 0.505 0.751
0.518 0.995 0.251
0.742 0.246 0.748
0.742 0.254 0.248
0.745 0.035 0.507
0.745 0.465 0.007
0.755 0.535 0.507
0.755 0.965 0.007
0.758 0.746 0.748
0.758 0.754 0.248
0.982 0.005 0.751
0.982 0.495 0.251

Entry 2:
Zn2HgW, PBEsol geometry, DFT meta-GGA SCAN; space group = F-43m; electronic total energy = -40.410 eV/atom; mass density = 13.175 g cm⁻³; magnetization = 0.51 μB/atom
1.0
6.380 0.000 0.000
0.000 6.380 0.000
0.000 0.000 6.380
Zn Hg W
8 4 4
Direct
0.000 0.000 0.000
0.000 0.500 0.500
0.250 0.250 0.250
0.250 0.750 0.750
0.500 0.000 0.500
0.500 0.500 0.000
0.750 0.250 0.750
0.750 0.750 0.250
0.250 0.250 0.750
0.250 0.750 0.250
0.750 0.250 0.250
0.750 0.750 0.750
0.000 0.000 0.500
0.000 0.500 0.000
0.500 0.000 0.000
0.500 0.500 0.500

Entry 3:
LaMgSc2, PBEsol geometry, DFT meta-GGA SCAN; space group = P4mm; electronic total energy = -19.146 eV/atom; mass density = 4.012 g cm⁻³; magnetization = 0.36 μB/atom
1.0
3.339 0.000 0.000
0.000 3.339 0.000
0.000 0.000 9.400
La Mg Sc
1 1 2
Direct
0.000 0.000 0.000
0.500 0.500 0.271
+++
== Here the piece continues ==

The Big News, Not to Make The News__China CA Canal...

China to Build Panama Canal Bypass Through Nicaragua...

One of the most extraordinary stories of the past decade largely overlooked by the U.S. media is how Central and Latin America have quietly escaped U.S. control since 9-11, as Washington focused on its global War on Terror (WoT).
The WoT diverted Washington’s attention long enough that progressive governments established themselves throughout the southern Western hemisphere, from Venezuela through Brazil, Paraguay and Bolivia, which were far less inclined than previous administrations to listen to advice from their giant “el Norte” neighbor.
A crucial element in this process has been Central and Latin America expanding their trading opportunities with states frowned upon by Washington, from Iran to China.
Now, in the latest sign that Washington’s sway over the region is diminishing still further, Nicaragua has announced that it will soon begin construction of a canal to compete directly with the Panama Canal further south, to be financed by … China.
As with the Three Gorges Dam, Beijing is not thinking small, as the proposed canal could take 11 years to build, cost $40 billion and require digging roughly 130 miles of channel. The Panama Canal, in contrast, is 48 miles long.
The ruling Sandinista National Liberation Front, which has 63 of the 92 Parliamentary seats, has introduced legislation to award the project to HK Nicaragua Canal Development Investment Co. Ltd. It is an extraordinary proposal for Central America’s poorest nation, which does not even yet have a highway connecting its Atlantic and Pacific coasts. Nicaraguan President Daniel Ortega hope to gain final approval by 14 June.
Planning for the project began in July 2012, when the Nicaraguan government announced the approval of a law for the construction of the “Great Inter-Oceanic Nicaragua Waterway Canal,” passing legislation that authorized the government to create a company whose state share would be 51 percent, while the remaining 49 percent would be acquired by a strategic partner. Daniel Ortega presidential adviser Paul Osquit, said that it was a project intended to send “a clear signal to the countries of the world” interested in investing in the mega project, which included Venezuela, Brazil, China, Japan, South Korea and Russia.
Notice that the U.S. is pointedly not on the list.
It will not be an insignificant undertaking, as the canal’s proposed locks will require 1.7 billion gallons of water per day, given that the channel will be 200 feet deep in places.
Furthermore, Nicaragua’s canal would have to be more than three times longer than the Panama Canal. A major advantage of the route however is that the massive Lake Nicaragua is separated from the Pacific only by a thin strip of land; accordingly, large oceangoing freighters could travel about 50 miles on Lake Nicaragua’s waters before going through a pair of locks, and into a waterway dug across the waist of the country to the Atlantic coast lowlands.
Nicaraguan advocates say that the channel is needed, arguing that inter-oceanic maritime freight traffic demand will outstrip the capacity of even the expanded Panama Canal by more than 300 percent within 123 years, and the canal’s construction create 40,000 construction jobs. Better yet, is could double the per-capita GDP.
The Panama Canal is currently restricted to tankers of up to 65,000 tons, known as “Panamax.” Passage restrictions now frequently produce lengthy queues of up to 100 merchantmen outside the canal’s Atlantic and Pacific entrances waiting to make the nine-hour passage. Since 1995 the volume of container shipping has tripled and since 2001 risen more than 50 percent. Maritime analysts now estimate that containerized cargo accounts for over 70 percent of international maritime trade, producing in 2006 almost 346,000 container shipments daily, a figure estimated by 2014 to exceed 600,000. About two-thirds of the cargo transiting the channel is headed to or from the U.S., with China Panama Canal’s second-largest user.
Since 2007 the waterway has been undergoing a major $5.25 billion expansion, with construction of a third lane of locks to augment the current two sets, that will double the capacity of the Panama Canal to handle 600 million tons annually, with completion scheduled for 2013.
As for the new channel and its Asian constructors, the reality is that the U.S. retains an overwhelming preponderance of regional military and naval power in the region and asserts its ability and right to intervene if it feels its interests are threatened, as emphasized in 1989, when Washington sent 27,000 troops into Panama to arrest president General Manuel Noriega after two U.S. grand juries indicted him for racketeering, drug trafficking and money-laundering. Last but hardly least, U.S. warships have retained their historic right of precedence of passage in time of war. In 2008 Washington re-established its Fourth Fleet, traditionally responsible for Central and Latin American waters, which had been moribund since 1950.
What’s in it for Hong Kong based HK Nicaragua Canal Development Investment Co. Ltd.?
Niacaragua intends to grant the Chinese company a concession for 100 years.
Not everyone in Managua is happy with the project. Opposition congressman Luis Callejas told reporters, “I do not understand what the rush is. It’s such a sensitive topic that the population should be consulted.”
How Washington will react to the new canal remains to be seen, but for the penny-pinching maritime shipping, shaving 100s of miles off transit routes will undoubtedly been seen as a godsend.
And who knows, if the U.S. begins LNG shipments from its East Coast to Asian markets, some U.S. energy firms may come to embrace it as well.
And if there’s trouble well, there’s always the Fourth Fleet.
This piece is cross-posted from Oil Price.com with permission.
- See more at: http://www.economonitor.com/blog/2013/06/china-to-build-panama-canal-bypass-through-nicaragua/?utm_source=contactology&utm_medium=email&utm_campaign=EconoMonitor%20Highlights%3A%20Spare%20Some%20Change%3F#sthash.et3z0e6i.dpuf

Tuesday, June 04, 2013

Turning Japanese: The Global Economic Trajectory...?

Author: Satyajit Das

== Someone pasted crystal structures at this point ==
~~~
DFT (PBE) results for RbAsH2IrSe after structural relaxation.

The structure in POSCAR format:
```
RbAsH2IrSe
1.0
5.3173 0.0000 0.0000
0.0000 3.9836 0.0000
-0.8866 0.0000 5.9945
Rb As H Ir Se
1 1 2 1 1
Direct
0.1784 0.5000 0.3310
0.6503 0.0000 0.0249
0.3664 0.0000 0.0692
0.3844 0.5000 0.8191
0.6740 0.5000 0.7943
0.7346 0.0000 0.5490
```

total energy = -26.007 eV for the cell shown
polymorph energy (0 for the lowest one) = 33 kJ/mol of formula units

=====

PaFeCuNi: relaxed, PBE-GGA.

Results
V: 14.95 Å³ per atom
theoretical density: 11.36 g cm⁻³
uncorrected energy: -6.957 eV/atom

Cell: 6.207 6.207 6.207 Å, 90.00 90.00 90.00°
Space group F-43m (No. 216)
Unique sites:
1 Pa 0.000 0.000 0.000 (multiplicity 4)
2 Fe 0.250 0.250 0.750 (multiplicity 4)
3 Cu 0.000 0.000 0.500 (multiplicity 4)
4 Ni 0.250 0.250 0.250 (multiplicity 4)

=====

# 1
The following is a DFT calculation (meta-GGA SCAN) of ReSi2Hg at its PBEsol-relaxed geometry. Values from VASP.

Cell and atoms, written as Quantum ESPRESSO input:
```
&SYSTEM
  ibrav = 0, nat = 4, ntyp = 3
/
ATOMIC_SPECIES
Hg 200.59 Hg.upf
Re 186.21 Re.upf
Si 28.09 Si.upf
ATOMIC_POSITIONS angstrom
Hg 1.664 -2.200 -0.762
Re 0.000 0.000 0.000
Si 2.647 0.360 -0.633
Si 4.311 -1.840 -1.395
CELL_PARAMETERS angstrom
-0.253 -2.964 -2.744
3.629 2.920 -0.504
3.582 -1.436 1.220
```

Output
As for the total energy: -156.36 eV per cell. For the density of states at the Fermi level, the calculation gives 3.5 states/eV/cell. Its space group is I4/mmm.

=====

# 2
The following is a DFT calculation (meta-GGA SCAN) of Re2SiHg at its PBEsol-relaxed geometry. Values from VASP.

Cell and atoms, written as Quantum ESPRESSO input:
```
&SYSTEM
  ibrav = 0, nat = 4, ntyp = 3
/
ATOMIC_SPECIES
Hg 200.59 Hg.upf
Re 186.21 Re.upf
Si 28.09 Si.upf
ATOMIC_POSITIONS angstrom
Hg 0.000 -0.589 2.570
Re 1.440 1.303 4.099
Re 0.000 1.751 1.055
Si 1.440 0.000 0.000
CELL_PARAMETERS angstrom
2.880 0.000 0.000
-1.440 4.232 0.014
0.000 -1.178 5.139
```

Output
Its energy above the most stable polymorph in this dataset is 0 meV per atom. For the density of states at the Fermi level, the calculation gives 2.4 states/eV/cell. Its space group is C2/m.

=====

# 3
The following is a DFT calculation (meta-GGA SCAN) of ReSnHg3 at its PBEsol-relaxed geometry. Values from VASP.

Cell and atoms, written as Quantum ESPRESSO input:
```
&SYSTEM
  ibrav = 0, nat = 5, ntyp = 3
/
ATOMIC_SPECIES
Re 186.21 Re.upf
Hg 200.59 Hg.upf
Sn 118.71 Sn.upf
ATOMIC_POSITIONS angstrom
Re 1.445 -4.063 1.749
Hg 1.568 -1.769 -1.277
Hg 1.481 -0.293 2.223
Hg -1.603 -2.001 0.804
Sn 0.000 0.000 0.000
CELL_PARAMETERS angstrom
-3.205 -4.002 1.608
3.135 -3.538 -2.555
2.961 -0.586 4.445
```

Output
As for the formation energy: 151 kJ per mole of atoms. For the density of states at the Fermi level, the calculation gives 2.6 states/eV/cell. Its space group is Pm-3m.

=====

# 4
The following is a DFT calculation (meta-GGA SCAN) of SrReHg2 at its PBEsol-relaxed geometry. Values from VASP.
~~~

 In 1980, the English pop band The Vapours had a hit with their song Turning Japanese. Against a background of a simplevaguely Oriental guitar riff, the repetitive chorus intoned:

I am turning Japanese
I think I am turning Japanese
I really think so.
In the course of an interview, songwriter David Fenton explained that the song concerned the clichés about angst and youth and turning into something you didn’t expect to.
Three decades later, the song aptly captures the trajectory of the global economy, as well as individual economies such as China. The economic world may be turning into something that policy makers certainly didn’t expect.
Japanese Historicism
Japan’s two decades of stagnation and Prime Minister Shinzo Abe’s recent initiatives to revive the moribund economy may provide important insights into the world’s current economic problems.
Since the collapse of the bubble in 1990, policymakers have implemented a variety of economic stimulus programs. Japan’s public finances have deteriorated as the government has run large deficits, leading to an increase in gross government debt which is now around 240% of GDP. Monetary policy has been highly accommodative, including zero interest rates and multiple rounds of quantitative easing since 2001.
Despite these measures, Japan remains trapped in a period of economic stagnation.
Policies designed to alleviate the slowdown have created anomalies and delayed essential structural changes, compounding fundamental problems.
Investment has increasingly been misallocated into expanding manufacturing capacity and excessive infrastructure spending, reducing returns on investment and Japan’s potential growth rates.
The excessive manufacturing capacity and low domestic demand has exacerbated reliance on exports and a high trade surplus to balance production with demand. This puts upward pressure on the Yen reducing Japan’s ability to be competitive as an exporter.
Much of the government financed infrastructure investment is not productive. After the initial boost to activity, this investment – bridges, roads and tunnels- requires perpetual maintenance expenditure, absorbing scarce government resources.
Low interest rates allowed debt levels to remain high. They reduced income for savers, decreasing consumption and encouraging additional saving for retirement.
Low rates allowed weak businesses to survive in a zombie-like state, where they survive to continue to pay interest on loans. Banks avoided writing off loan assets, tying up capital and reduced lending to productive enterprises, especially small and medium enterprises (“SMEs”) which account for a large portion of economic activity and employment. The creative destruction necessary to restore the economy did not occur.
Correspondence and Divergence
There are similarities and differences between the collapse of Japan’s bubble economy and the post Global Financial Crisis (“GFC”) economies of developed nations.
In both cases, low interest rates and excessive debt build-ups financed investment booms intended to drive recovery from recessions. Both ultimately collapsed. Both were characterised by overvaluation of financial assets and banking system weaknesses. Policy responses to the crisis have also been similar.
At the onset of the crisis, Japan had low levels of government debt, high domestic savings and an abnormal degree of home bias in investment. This allowed the government to finance its spending domestically, assisted by an accommodating central bank. Currently, around 90% of Japanese government bonds are held by compliant domestic investors. The absence of market discipline, especially from foreign investors, allowed Japan to incur high levels of indebtedness. Many of the current problem economies have low domestic savings and are reliant of foreign capital.
Japan’s problems occurred against a background of strong economic growth in the global economy. Strong exports and a current account surplus partially offset the lack of domestic demand, buffering the effects of the slowdown in economic activity. The global nature of current problems means that individual countries will find it more difficult to rely on the external account to support their economies.
While its aging population has increasingly compounded problems, Japanese demographics at the commencement of the crisis were helpful. Its older population had considerable wealth. Low population growth meant that less new entrants had to be accommodated in the workforce during a period of slow growth, alleviating problems of rising unemployment.
Reflecting a homogenous society and a stoicism shaped by its history, Japanese citizens were accommodating of the sacrifices and transfer of wealth necessitated by the economic problems. The demographic and social structure of many troubled economies may not accommodate the measures required to manage the crisis, without significant breakdowns in social order.
In reality, Japan highlights the difficulty of engineering recovery from the effects of major deleveraging following the collapse of a debt fuelled asset bubble. It reveals the constraints of traditional policy options – fiscal stimulus, low interest rates and debt monetisation.
What’s Putonghua for ‘Turning Japanese’?
Despite a history of conflict and competition, China and Japan share a contiguous geography and development models. China may also share Japan’s economic fate.
Japan’s post war economic recovery and China’s more recent growth was based on an export driven model, using low cost labour to drive manufacturing. Both countries used under-valued currencies to provide exporters with a competitive advantage. Exports were promoted at the expense of household income and consumption. Both encouraged high domestic savings rates, which was used to finance investment. Both countries generated large trade surpluses which were invested overseas, primarily in US government securities, to avoid upward pressure of their currencies and to help finance purchases of their exports. Both also used high levels of investment financed domestically to drive economic growth.
The 22 September 1985 Plaza Accord forced Japan to revalue its currency in the appreciation of the yen, reducing Japanese exports and economic growth. In order to restore growth, policymakers engineered a credit driven investment boom to offset the effects of a stronger Yen, driving a bubble in asset prices that collapsed. Government spending and low interest rates have been used to avoid a collapse in activity exacerbating imbalances. This has resulted in large budget deficits, very high levels of government debt and enlargement of the central bank balance sheet, in part to finance the government and support financial asset prices.
China’s resistance to a sudden, sharp revaluation of the Renminbi is based on avoiding the Japanese experience. China’s response to the Global Financial Crisis (“GFC”), which triggered a large fall in Chinese exports and slowdown in economic activity, is similar to that of Japan following the Plaza Accord. Recent Chinese growth has been driven by a rapid expansion of credit which has driven an investment boom.
Becoming Poor Before Getting Rich
As with the global economy, there are many points of correspondence and divergence between the positions of Japan in the early 1990s and China today.
Investment levels are high, in similar areas like real estate and infrastructure. Chinese fixed investment at around 50% of Gross Domestic Product (“GDP”) is higher than Japan’s peak by around 10% and well above that for most developed countries of around 20%.
Like Japan before it, China’s banking system is vulnerable. Rather than budget deficits, China has used directed bank lending to specially targeted projects to maintain high levels of growth.
The reliance on overvalued assets as collateral, and infrastructure projects with insufficient cash flows to service the debt means that many loans will not be repaid. These bad loans may trigger a banking crisis or absorb a significant portion of Chinese large pool of savings and income reducing the economy’s growth potential.
At the onset of its crisis, Japan was a much richer country than China, providing it with a significant advantage in dealing with the slowdown. Japan also possessed a good education system, strong innovation, technology and a stoic work ethic which helped adjustment. Japan’s world class manufacturing skills and significant intellectual property in electronics and heavy industry made it less reliant on cheap labour, allowed the nation to defer but entirely avoid the problems.
In contrast, China relies on cheap labour, to assemble or manufacture products for export using imported materials. Shortage in availability of labour and rising wages is increasingly reducing competitiveness. China’s attempts at innovation and high technology manufacture are still nascent.
Chinese authorities admit that the credit driven investment strategy in response to the GFC increased domestic imbalances resulted in misallocation of capital, unproductive investments and loan losses at government-owned banks. China faces significant challenges in shifting away from its investment-led growth model. Growth based on endless subsidised expansion of capacity is increasingly not viable. Attempts to continue the present strategy or adjust the economy may cause a slowdown, greater than forecast with consequences for China’s social and political stability.
In recent years, popular awe of the achievements of China has increased. But it is entirely possible that China’s spectacular success could end in surprising failure, as the country fails to make the needed economic transition. The question now is can China avoid “turning Japanese”.
Japanese Lessons
Until 1990, Japan was highly successful, growing strongly with only brief interruptions.  Since 1990, after the bubble economy burst, Japan has mired in almost two decades of uninterrupted stagnation. Despite the widespread optimism, the aggressive policies of Prime Minister Abe may not succeed in arresting the decline.
The Japanese experience suggests that the state can provide palliative care to an economy in crisis but may have limited ability to restore economic health. The real lesson from Japan  is that the only safe option to a prolonged period of stagnation is to avoid a debt fuelled bubble and subsequent build-up of public debt in the first place. But then it is too late for that!
© 2013 Satyajit Das All Rights Reserved
Satyajit Das is a former banker and author of Extreme Money and Traders Guns & Money